The Pet Rat
A rat is probably not the first animal people think of when it comes to a pet. Actually, it is quite the opposite. Rats are affectionate, entertaining, and smart. They can be taught to use a litter box, return to their cage on command, and answer to their name. The rat is actually as smart as a dog. He can learn tricks and eat from your hand. If he trusts you he will not bite or run away from you. He will look forward to seeing you and playing with you.
Rats were the favorite pet of young girls in Victorian England. When the rat catcher Jack Black caught any unusually colored rats, he bred them to establish new color varieties. He would sell his home-bred domesticated rats as pets to “well-bred young ladies to keep in squirrel cages.”
The more sophisticated ladies of court kept their rats in dainty gilded cages, and even Queen Victoria herself kept a rat or two. It was in this way that domesticated—or fancy—rats were established.
Rats are sweet and good natured, if treated kindly. If one were to try to tame a rat that is not used to being handled, that would take time. They are instinctually afraid of people. But if you raise a rat with a good environment, good food, and a lot of love, you will get much in return.
********
{
  "formula": "Pr2SiRh",
  "functional": "PBE-GGA",
  "state": "optimized geometry",
  "lattice": [[4.1643, 0.0000, 0.0000], [0.0000, 2.1821, 5.3804], [0.0000, -2.1821, 5.3804]],
  "species": ["Pr", "Pr", "Si", "Rh"],
  "fractional_positions": [[0.0000, 0.0000, 0.0000], [0.5000, 0.2826, 0.2826], [0.0000, 0.7035, 0.7035], [0.5000, 0.5691, 0.5691]],
  "formation_energy_uncorrected_ev_per_atom": -0.72,
  "density_g_cm3": 7.0,
  "dft_energy_ev_per_cell": -25.2,
  "total_magnetization_mub_per_cell": 0.000
}

=====

Record 1
Entry from OQMD: Nb4FeC2S after structural relaxation (PBE-GGA).

Energy = -9.343 eV per atom
Size of the total moment = 1.53 μB/f.u.

abc: 3.187 3.187 12.453
angles: 90.00 90.00 120.00
Positions (direct):
Nb: 0.000 0.000 0.145
Nb: 0.000 0.000 0.855
Nb: 0.667 0.333 0.343
Nb: 0.667 0.333 0.657
Fe: 0.000 0.000 0.500
C: 0.333 0.667 0.246
C: 0.333 0.667 0.754
S: 0.667 0.333 0.000

***

Record 2
Entry from OQMD: Ga4Ni4Hg3 after structural relaxation (PBE-GGA).

Energy = -3.273 eV per atom
Size of the total moment = 0.00 μB/f.u.

abc: 6.303 6.303 6.303
angles: 109.47 109.47 109.47
Positions (direct):
Ga: 0.000 0.000 0.609
Ga: 0.000 0.609 0.000
Ga: 0.391 0.391 0.391
Ga: 0.609 0.000 0.000
Ni: 0.000 0.000 0.245
Ni: 0.000 0.245 0.000
Ni: 0.245 0.000 0.000
Ni: 0.755 0.755 0.755
Hg: 0.000 0.500 0.500
Hg: 0.500 0.000 0.500
Hg: 0.500 0.500 0.000

***

Record 3
Entry from OQMD: CdFeSiTc after structural relaxation (PBE-GGA).

ΔE to the lowest computed polymorph = 0.0 meV per atom
Energy = -5.971 eV per atom
Size of the total moment = 2.13 μB/f.u.

abc: 4.319 4.319 4.319
angles: 60.00 60.00 60.00
Positions (direct):
Cd: 0.000 0.000 0.000
Fe: 0.750 0.750 0.750
Si: 0.500 0.500 0.500
Tc: 0.250 0.250 0.250

***

Record 4
Entry from OQMD: ErTmSn4 after structural relaxation (PBE-GGA).

Energy = -4.725 eV per atom
Size of the total moment = 0.00 μB/f.u.

abc: 4.333 8.409 8.409
angles: 30.37 90.00 90.00
Positions (direct):
Er: 0.000 0.000 0.000
Tm: 0.500 0.197 0.197
Sn: 0.000 0.350 0.350
Sn: 0.000 0.663 0.663
Sn: 0.500 0.534 0.534
Sn: 0.500 0.846 0.846

***

Record 5
Entry from OQMD: DyTmCSe after structural relaxation (PBE-GGA).

Energy = -6.614 eV per atom
Size of the total moment = 0.00 μB/f.u.

abc: 3.729 3.729 13.165
angles: 90.00 90.00 120.00
Positions (direct):
Dy: 0.000 0.000 0.152
Dy: 0.000 0.000 0.848
Tm: 0.667 0.333 0.352
Tm: 0.667 0.333 0.648
C: 0.333 0.667 0.253
C: 0.333 0.667 0.747
Se: 0.000 0.000 0.500
Se: 0.667 0.333 0.000

***

Record 6
Entry from OQMD: PrCoIr after structural relaxation (PBE-GGA).

Energy = -6.647 eV per atom
Size of the total moment = 2.59 μB/f.u.
ΔH_f (0 K) = 0.26 eV per atom

abc: 4.547 4.547 4.547
angles: 60.00 60.00 60.00
Positions (direct):
Pr: 0.000 0.000 0.000
Co: 0.500 0.500 0.500
Ir: 0.750 0.750 0.750

***

- Which value of energy does entry 4 give?
  -4.725 eV per atom

=====

(1)
DFT (meta-GGA SCAN) results for a crystal of Mg2ScAu relaxed with PBEsol.
********
• The page goes on:
The empathy of rats has been studied by Inbal Ben-Ami Bartal at the University of Chicago. He placed one rat in an enclosure, where it encountered a small transparent container. In the container was another rat, wriggling in distress. The “free” rat learned how to open a little door to liberate the other one, and was very eager to do so. In another experiment, the free rat had a choice between a container of chocolate chips and another one with a trapped companion. The free rat often rescued her companion first, which suggests that her distress was more important than delicious food.
Rats do not have a long lifespan, but can live more than four years. I had a rat named Zach, who lived to be more than five. He was a laboratory rat rescued by me at the end of a science experiment.
The rat has a fragile respiratory system. Many of the rats I see suffer from infections which is usually pneumonia. He can get this from an organism carried by rat lice. In addition to treating for the infection, the rat is treated for the lice.
Nigel is the pet of the month. He is a young rat who has had several respiratory infections. These are thought to be caused by mycoplasma, an organism that can attack the lungs. It is hard to get rid of and may recur. At the first sign of any wheezing, I am aggressive with treatment. If untreated, this can lead to a very sick rat and can be fatal.
Rats also have a fragile urinary system. If fed a lot of high protein food, they can develop kidney disease. It is best not to overfeed your rat and to offer a lower protein diet. Don’t constantly fill the food dish as this can lead to obesity and kidney issues.
It is important to keep the cage clean, have plenty of fresh water, plenty of time to run around, and lots of interaction with people.
Rats get overgrown teeth, due to malocclusion. Their incisors continue to grow and if not positioned correctly this leads to very long teeth which must be trimmed in order for them to eat.
Misplaced calculated crystals:
........
A geometry-optimized KCoMo3 structure. Source: Alexandria, functional PBE.

Cell: 4.652 4.652 4.652 Å, 90.00 90.00 90.00°
Site moments in Bohr magnetons follow the coordinates.
Atoms (fractional coordinates):
Mo  0.000  0.500  0.000  0.47
Mo  0.000  0.000  0.500  0.59
Mo  0.500  0.000  0.000  0.39
Co  0.000  0.000  0.000  0.07
K  0.500  0.500  0.500  0.02

Density of states at the Fermi level in states/eV/cell: 6.49
Size of the total moment in μB/f.u.: 1.8
Formation enthalpy at 0 K in eV/atom: 1.6487
Density in g/cm³: 6.4
VASP energy in eV per atom: -6.49



A geometry-optimized KCoMo2 structure. Source: Alexandria, functional PBE.

Cell: 2.691 2.691 10.041 Å, 90.00 90.00 90.31°
Site moments in Bohr magnetons follow the coordinates.
Atoms (fractional coordinates):
Mo  0.000  0.000  0.071  0.06
Mo  0.000  0.000  0.429  0.06
Co  0.500  0.500  0.250  0.72
K  0.500  0.500  0.750  0.01

Density of states at the Fermi level in states/eV/cell: 4.69
Size of the total moment in μB/f.u.: 0.9
Formation enthalpy at 0 K in eV/atom: 0.8449
Density in g/cm³: 6.6
VASP energy in eV per atom: -6.62



A geometry-optimized KCo2Mo structure. Source: Alexandria, functional PBE.

Cell: 5.216 5.216 5.216 Å, 137.66 137.66 61.43°
Site moments in Bohr magnetons follow the coordinates.
Atoms (fractional coordinates):
Co  0.250  0.750  0.500  -0.90
Co  0.000  0.000  0.000  1.12
Mo  0.750  0.250  0.500  -0.06
K  0.500  0.500  0.000  0.00

Density of states at the Fermi level in states/eV/cell: 5.27
Size of the total moment in μB/f.u.: 0.1
Formation enthalpy at 0 K in eV/atom: 1.6011
Density in g/cm³: 6.6
VASP energy in eV per atom: -4.93



A geometry-optimized KCo2Mo structure. Source: Alexandria, functional PBE.

Cell: 3.867 3.103 7.106 Å, 77.68 90.00 90.00°
Atoms (fractional coordinates):
Co  0.000  0.209  0.949
Co  0.500  0.109  0.158
Mo  0.500  0.727  0.916
K  0.000  0.455  0.477

Density of states at the Fermi level in states/eV/cell: 4.27
Size of the total moment in μB/f.u.: 0.0
Formation enthalpy at 0 K in eV/atom: 0.8668
Density in g/cm³: 5.0
VASP energy in eV per atom: -5.67



A geometry-optimized KCo2Mo structure. Source: Alexandria, functional PBE.

Cell: 4.420 4.420 4.420 Å, 60.00 60.00 60.00°
Site moments in Bohr magnetons follow the coordinates.
Atoms (fractional coordinates):
Mo  0.750  0.750  0.750  -0.32
Co  0.250  0.250  0.250  1.68
Co  0.000  0.000  0.000  0.98
K  0.500  0.500  0.500  -0.01

Density of states at the Fermi level in states/eV/cell: 5.38
Size of the total moment in μB/f.u.: 2.2
Formation enthalpy at 0 K in eV/atom: 1.5347
Density in g/cm³: 6.9
VASP energy in eV per atom: -5.00



A geometry-optimized KCo2Mo structure. Source: Alexandria, functional PBE.

Cell: 7.037 7.037 5.918 Å, 53.52 53.52 90.00°
Atoms (fractional coordinates):
Co  0.050  0.625  0.250
Co  0.875  0.950  0.750
Co  0.375  0.300  0.750
Co  0.700  0.125  0.250
Mo  0.000  0.000  0.000
Mo  0.750  0.250  0.500
K  0.250  0.750  0.500
K  0.500  0.500  0.000
........
The calculated crystals stop here:
Rats also get tumors which should be removed and biopsied. They can occur on the skin or the mammary glands. They also get pituitary tumors; this can cause growth problems and hormonal imbalances.
Rats cry red tears but this is normal. It is a pigment that is naturally a red color. Many mistake this for bleeding. Rats may carry Leptospirosis if they are wild caught. This can be contagious to humans and can cause illness in both. If you take in a rat from outside, be sure to test for this.
Having a rat is fun. Many people get very attached to them. It is hard to explain until you have one of your own. Your well-cared-for pet will be a happy rat and give you a lot of joy.